The reader should echo the lines below from the one with "formula" to the one with "ωB97M-V with" word for word.

+++
{
  "formula": "C48H81Cl2N6O6S",
  "method": "ωB97M-V with the def2-TZVPD basis set",
  "symbols": ["C", "C", "C", "N", "C", "O", "O", "C", "N", "C", "C", "O", "C", "C", "C", "C", "C", "C", "C", "C", "C", "S", "C", "C", "N", "C", "Cl", "C", "C", "Cl", "H", "H", "H", "H", "H", "H", "H", "H", "H", "H", "H", "H", "H", "H", "H", "H", "H", "H", "H", "H", "H", "H", "H", "H", "H", "H", "H", "C", "C", "C", "C", "C", "C", "N", "O", "C", "C", "C", "H", "H", "H", "H", "H", "H", "H", "H", "H", "H", "H", "H", "H", "H", "H", "H", "H", "H", "C", "C", "C", "C", "C", "C", "N", "O", "C", "C", "C", "H", "H", "H", "H", "H", "H", "H", "H", "H", "H", "H", "H", "H", "H", "H", "H", "H", "H", "C", "C", "C", "C", "C", "C", "N", "O", "C", "C", "C", "H", "H", "H", "H", "H", "H", "H", "H", "H", "H", "H", "H", "H", "H", "H", "H", "H", "H"],
+++

  "formula": "C48H81Cl2N6O6S",
  "method": "ωB97M-V with the def2-TZVPD basis set",